Prof. RNDr. Ladislav Skula, DrSc.

Datum narození: 30. června 1937
Místo narození: Prostějov
Vědecké a pedagogické hodnosti:
RNDr., Univerzita J.E.Purkyně, Brno, 1967, obor Algebra a teorie čísel
CSc., Univerzita J.E.Purkyně, Brno, 1967, obor Algebra a teorie čísel
docent : habilitace- Univerzita J.E.Purkyně, Brno, 1970
              jmenování - 1986, obor Algebra a teorie čísel
DrSc., Karlova Univerzita, Praha, 1991, obor Algebra a teorie čísel
profesor, Masarykova univerzita , Brno, 1991, obor Algebra a teorie čísel

Průběh  praxe :
1955-60 - studium odborné matematiky, Univerzita J.E.Purkyně, Brno
1960-65 - asistent , katedra matematiky, stroj. fakulta, VUT Brno
1965-82 - odborný asistent, katedra algebry a geometrie, PřF, Univerzita J.E.Purkyně, Brno
1982-86 - odborný asistent, katedra matematiky, PřF, Univerzita J.E.Purkyně, Brno
1986-91 - docent, katedra matematiky, PřF, Univerzita J.E.Purkyně, Brno
od 1991  - profesor, katedra aplikované matematiky, PřF, Masarykova univerzita , Brno

Odborná aktivita :
Publikace 60 vědeckých prací z oblasti topologie, teorie kategorií, algebraické teorie čísel a v poslední době z aplikací matematiky. Přednášky na 18 mezinárodních konferencích, kolem 40 přednášek na zahraničních univerzitách , zejména na univerzitách  Queen´s University Kingston (Kanada) (1986) a Science University of Tokyo (Japonsko) (1994). Jeden dvouměsíční přednáškový pobyt: Queen´s University Kingston (1986), dva jednoměsíční přednáškové pobyty: Universität in Innsbruck (1992), Science University of Tokyo (1993) a dva semestrální přednáškové pobyty: Dalhousie University, Halifax (Kanada) (1990), Science University of Tokyo (1994).Člen v redakčních radách odborných časopisů : Archivum Mathematicum (Brno) . Folia Fac. Sc. Nat. Univ. Masarykiane Brunensis, Acta Mathematica et Informatica Universitatis  Ostraviensis. Recenzent pro Mathematical Reviews a Zentralblatt fur Mathematik.  V r.1993-95 řešitel grantového projektu GAČR  "Teorie čísel, její algebraické aspekty a její vztah k informatice", který byl úspěšně zakončen. V r. 1997-1999 spoluřešitel grantového projektu GA ČR  "Algebraické a analytické metody v teorii čísel". Člen v oborových radách PGS : Algebra - PřF MU Brno, diskrétní matematika - ped.fak.MU Brno, aplikovaná matematika - PřF OU Ostrava , teorie čísel - MFF KU Praha.  Od r.1995 člen "The York Academy of Science" a od r.1996 člen " The American Mathematical Society ". V r.1998 obdržel pamětní medaili  JČMF za zásluhy o vybudování školy algebraické teorie čísel.

Původní vědecké práce publikované nebo předložené do tisku v letech 1996-98 :
1) Skula L.,Takashi Agoh: Kummer type congruences and Stickelberger subideals,Acta Arith.85(1996),235-250.
2) Skula L.: On a special ideal contained in the Stickelberger ideal,Journal of Number Theory 8 (1996),173-195. 
3) Skula L.: Application of generalized inverses in linear models,Folia Fac.Sc.Nat.Univ.Masarykianae Brunensis,Math.5(1997),143-146.
4) Skula L.: Involutions of matrices and generalized least squuares solution,Folia Fac.Sc.Nat.Univ.Masarykianae Brunensis, Math.5(1997),147-151.
5) Skula L.: Inclusion among special Stickelberger subideals,Tatra Mountains,Math. Publ.,Number Theory 11(1997),147-158.
6) Skula L., Takashi Agoh, Karl Dilcher: Fermat quotients for composite moduli,Journal of Number Theory 66(1997),29-50.
7) Skula L.: Involutions for matrices and generalized inverses,Linear Algebra and Its Applications 271(1998),283-308.
8) Skula L., Takashi Agoh, Karl Dilcher: Wilson quotients for composite moduli,Mathematics of Computation 67(1998),843-861.
9) Skula L.: Generalized multivariate normal distribution,Proceedings of DATASTAT, 97, 1998, 141-148
10) Skula L.: Fermat and Wilson quotients for p-adic integers, Acta Mathematica et Informatica Universitatis Ostraviensis,6(1998), 167-181.

Nejvýznamnější publikační aktivity od ukončení VŠ studií :
1) Skula L. : On a reflective subcategory of the category of all topological spaces, Transactions of the American Mathematical Society 142 (1969), 37-41.
2) Skula L. : The orders of solutions of the Kummer system of congruences, Transactions of the American Society 343 (1994), 587-607.
3) Skula L. : Involutions for matrices and generalized inverses, Linear Algebra and Its Applications 271 (1998), 283-308.

     He graduated  from the University of  Brno 1960 (specialization Mathematics), in 1991 he  defended the DrSc. degree and 1991 he was appointed Professor.
     He has published 60 scientific  papers mostly of them in the field of topology, ordered sets and  algebraic number theory. He held lectures  at many universities abroad and many conferences (visiting position, e.g. at Science   University  of  Tokyo, Dalhousie University of Halifax).
     Since 1978 he focussed  his professional interests on application fields such as discrete Fourier transform, fast algorithms for  its computation,  pseudoinverse  matrices  and their  use in linear  regression.


[1]  Some algebraic aspects of the ring  transform, Scripta Fac.Sc.
     N.Univ.Brunensis, C.S.and Applied Math. 23(1993), 11-26.

[2]  The  orders solutions of  the Kummer system  of congruences,
     Transactions of the American Mathematical Society 343 (1994),

[3]  On a special ideal contained in the Stickelberger ideal, Journal of Number 
     Theory 58(1996), 173-195.

[4]  Inclusion among special Stickelberger subideals, Tatra Mountains, 
     Mathematical Publications, Number Theory 11(1997), 147-158.

[5]  Involutions for matrices and generalized inverses, Linear Algebra and Its  
     Applications, 271(1998), 283-308.

[6]  Fermat and Wilson Quotiens for p-Adic Integers, Acta Mathematica et 
     Informatica Univrsitatis Ostraviensis 6(19980, 167-181.


[1]  Diagonalizovatelné matice, seminář z numerické a aplikované matematiky PřF  
     UK Olomouc, 30.3.1997.

[2]  Automorfismy tělesa komplexních čísel a transcedentní čísla, seminář z       
     teorie čísel,  katedra   matematiky, PřF Ostravská univerzita, Ostrava,

[3]  Involutory Automorphism of Complex Numbers and Diagonable Matrices,  
     Mathematisches Institut der Universität in Innsbruck, 28.5.1997.

Členství ve vědeckých organizacích :

[The article is interrupted by materials data]
Starting from a crystal structure in Alexandria, relaxed with PBE, the powder diffractogram of Tm8ThSc5 was simulated for λ = 1.5418 Å (Cu Kα).

Principal peaks in the range 10° ≤ 2θ ≤ 90°, sorted by position:
Position (°2θ), intensity
13.30, 53
23.41, 89
29.58, 75
30.44, 81
30.54, 68
35.49, 91
35.95, 100
36.23, 68

Atomic structure:
```
data_Tm8ThSc5
_chemical_formula_sum 'Tm8 Th1 Sc5'
_space_group_name_H-M_alt 'P 1'
_space_group_IT_number 1
_cell_length_a 8.1116
_cell_length_b 8.1116
_cell_length_c 8.1116
_cell_angle_alpha 110.43
_cell_angle_beta 110.43
_cell_angle_gamma 107.58
loop_
_space_group_symop_operation_xyz
'x,y,z'
loop_
_atom_site_label
_atom_site_type_symbol
_atom_site_fract_x
_atom_site_fract_y
_atom_site_fract_z
_atom_site_occupancy
Tm1 Tm 0.1899 0.4063 0.5848 1
Tm2 Tm 0.3265 0.2294 0.2319 1
Tm3 Tm 0.3949 0.8101 0.2164 1
Tm4 Tm 0.5937 0.1785 0.7836 1
Tm5 Tm 0.7706 0.0026 0.0972 1
Tm6 Tm 0.8215 0.6051 0.4152 1
Tm7 Tm 0.9054 0.6735 0.9028 1
Tm8 Tm 0.9974 0.0946 0.7681 1
Th1 Th 0.7500 0.2500 0.5000 1
Sc1 Sc 0.0573 0.4682 0.1912 1
Sc2 Sc 0.1338 0.9427 0.4108 1
Sc3 Sc 0.2770 0.8662 0.8088 1
Sc4 Sc 0.5000 0.5000 0.0000 1
Sc5 Sc 0.5318 0.7230 0.5892 1
```

Starting from a crystal structure in Alexandria, relaxed with PBE, the powder diffractogram of ZnCu3Ni6 was simulated for λ = 1.5418 Å (Cu Kα).

Principal peaks in the range 10° ≤ 2θ ≤ 90°, sorted by position:
Position (°2θ), intensity
40.74, 32
43.82, 100
45.07, 76
46.97, 54
47.39, 48
47.65, 62
48.96, 42
49.08, 45

Atomic structure:
```
data_ZnCu3Ni6
_chemical_formula_sum 'Zn1 Cu3 Ni6'
_space_group_name_H-M_alt 'P 1'
_space_group_IT_number 1
_cell_length_a 2.5033
_cell_length_b 6.3779
_cell_length_c 7.7290
_cell_angle_alpha 108.81
_cell_angle_beta 98.86
_cell_angle_gamma 90.36
loop_
_space_group_symop_operation_xyz
'x,y,z'
loop_
_atom_site_label
_atom_site_type_symbol
_atom_site_fract_x
_atom_site_fract_y
_atom_site_fract_z
_atom_site_occupancy
Zn1 Zn 0.0000 0.0000 0.0000 1
Cu1 Cu 0.1588 0.5641 0.3449 1
Cu2 Cu 0.2978 0.3905 0.5858 1
Cu3 Cu 0.8714 0.1641 0.7471 1
Ni1 Ni 0.2186 0.9725 0.4526 1
Ni2 Ni 0.3535 0.7965 0.6961 1
Ni3 Ni 0.5169 0.3692 0.0443 1
Ni4 Ni 0.5787 0.7773 0.1689 1
Ni5 Ni 0.6462 0.1953 0.2949 1
Ni6 Ni 0.9386 0.5860 0.8770 1
```

Starting from a crystal structure in Alexandria, relaxed with PBE, the powder diffractogram of ErTiSe2 was simulated for λ = 1.5418 Å (Cu Kα).

Principal peaks in the range 10° ≤ 2θ ≤ 90°, sorted by position:
Position (°2θ), intensity
14.17, 15
26.80, 19
32.66, 100
46.54, 37
47.19, 34
58.01, 19
77.43, 16
78.41, 14

Atomic structure:
```
data_ErTiSe2
_chemical_formula_sum 'Er3 Ti3 Se6'
_space_group_name_H-M_alt 'P 1'
_space_group_IT_number 1
_cell_length_a 3.9029
_cell_length_b 3.9029
_cell_length_c 18.7472
_cell_angle_alpha 90.00
_cell_angle_beta 90.00
_cell_angle_gamma 120.00
loop_
_space_group_symop_operation_xyz
'x,y,z'
loop_
_atom_site_label
_atom_site_type_symbol
_atom_site_fract_x
_atom_site_fract_y
_atom_site_fract_z
_atom_site_occupancy

JČMF, The New York Academy of Sciences, The American Mathematical Society.

Redakční rady časopisů :

Archivum Mathematicum (Brno)
Acta Mathematica et Informatica Universitatis Ostraviensis (Ostrava)
Folia (Brno)

Zahraniční kontakty :

úzká  spolupráce  -  Dept.of Math.,University  of science (Tokyo)
                  -  Dept.of Math.,Dalhousie  Universits, Halifax
                     (Canada) (prof.Dilcher)
                  -  Mathematisehes  Institut,   Universität  in
                     Innsbruck (Ôsterrrich) (prof.Girstmair)

Počet ohlasů na věd.práce : 120

List of Scientific Papers of Ladislav Skula
[1] (With  M.Novotný)  Über  gewisse  Topologien  auf geordneten
     Mengen, Fund.Mat.LVI (1965, 313-324.

[2]  Tine Bemerkung über Kardinalpotenzen, Archivum Mat.(Brno) T-2

[3]  Dědičná m-separabilita uspořádaného prostoru,Č pěst.mat.,
     Praha 90 (1965), 451-454.
     (Hereditary m-separability of an orderd space.)

[4]  The subsets P+ and P- of the split interval,Publ de inst.mat.,
     Nouvelle série, č.6(20), Beograd (1966, 121-123).

[5]  Systeme von  steitigen Abbildungen, Czech.Math.Journal 17(92)
     (1967), 45-52.

[6]  m-ideal topologies in ordered sets, Czech.Math.Journal 18(93)
     (1968), 400-407.

[7]  Completely irreducible m-ideals in a cardinal product,Math.Ann.
     181(1969), 237-241.

[8]  System  of layers an  ordered set, Czech.Math.Journal  19(94)
     (1969), 27-41.

[9]  Ordered set of classes ofcompactifications, Czech.Math.Journal
     19(94) (1969),42-59.

[10] On a reflective subcategory of the category of all topological
     spaces, Trans.of the Amer.Math.Soc.142 (1969), 37-41.

[11] Divisorentheorie einer Halbgrupe, Math.Zeitschrift  114 (1970),

[12] Prime  elements  in the semigroup of finite  types of partially
     ordered sets in cardinal  mutiplication, Spisy  PřF UJEP (Brno),
     T4(1968), 97-102.

[13] Eine  Bemerkung zu dem ersten  Fall der Fermatschen  Vermutung,
     Journal für die r.u.ang.Math.253 (1972),1-14.

[14] Forsetzung stetiger Homomorphismen von -Halbgruppen, Journal
     für die r.u.ang.Math.261 (1973), 71-87.

[15] Quasi-reflections and limits, Czech.Math.Journal 24(99) (1974),

[16] Maximale   -und  1-Kategorien, Journal für die r.u.ang.Math.
     274/275 (1975), 287-298.

+++
For MnH8C2S2N2O4, a DFT-relaxed cell (GGA+U, the Materials Project) gives the theoretical powder diffraction line list in this record (Cu Kα).

Atomic structure:
```
data_MnH8C2S2N2O4
_symmetry_space_group_name_H-M 'P 1 21/c 1'
_symmetry_Int_Tables_number 14
_cell_length_a 8.0683
_cell_length_b 9.2096
_cell_length_c 7.6560
_cell_angle_alpha 90.00
_cell_angle_beta 114.11
_cell_angle_gamma 90.00
loop_
_symmetry_equiv_pos_as_xyz
'x,y,z'
'-x,-y,-z'
'-x,y+1/2,-z+1/2'
'x,-y+1/2,z+1/2'
loop_
_atom_site_label
_atom_site_fract_x
_atom_site_fract_y
_atom_site_fract_z
Mn1 0.0000 0.0000 0.0000
H1 0.1267 0.1965 0.3265
H2 0.2017 0.0389 0.3934
H3 0.2492 0.0570 0.8388
H4 0.3287 0.1215 0.0446
C1 0.2755 0.7151 0.1393
S1 0.4042 0.5709 0.1822
N1 0.1811 0.6814 0.6055
O1 0.1062 0.0931 0.2904
O2 0.2152 0.1174 0.9265
```

Main lines, sorted by position (2θ = 10–90°):
- (1 0 0), 2θ = 12.02°, rel. 45
- (0 1 1), 2θ = 15.92°, rel. 69
- (1 1 -1), 2θ = 16.54°, rel. 69
- (0 2 0), 2θ = 19.28°, rel. 47
- (1 1 1), 2θ = 22.95°, rel. 100
- (1 0 -2), 2θ = 23.30°, rel. 55
- (2 1 -1), 2θ = 24.26°, rel. 92
- (0 1 2), 2θ = 27.30°, rel. 64
- (2 2 0), 2θ = 31.10°, rel. 42
- (2 3 0), 2θ = 38.14°, rel. 46



For NaMnH3C3O6, a DFT-relaxed cell (GGA+U, the Materials Project) gives the theoretical powder diffraction line list in this record (Cu Kα).

Atomic structure:
```
data_NaMnH3C3O6
_symmetry_space_group_name_H-M 'P 21 3'
_symmetry_Int_Tables_number 198
_symmetry_space_group_name_Hall 'P 2ac 2ab 3'
_cell_length_a 9.4278
_cell_length_b 9.4278
_cell_length_c 9.4278
_cell_angle_alpha 90.00
_cell_angle_beta 90.00
_cell_angle_gamma 90.00
loop_
_atom_site_label
_atom_site_fract_x
_atom_site_fract_y
_atom_site_fract_z
Na1 0.1859 0.1859 0.1859
Mn1 0.1364 0.8636 0.3636
H1 0.0318 0.2046 0.7572
C1 0.0368 0.2374 0.8702
O1 0.0648 0.6527 0.2836
O2 0.0748 0.7924 0.5790
```

Main lines, sorted by position (2θ = 10–90°):
- (1 1 0), 2θ = 13.28°, rel. 100
- (1 1 1), 2θ = 16.28°, rel. 8
- (2 1 0), 2θ = 21.07°, rel. 11
+++
So much for the records of crystals =

[17] Über pseudoreguläre Primzahlen, Journl für die r.u.ang.Math.
     277 (1975), 37-39.

[18] On  a problem of  Znám,Acta fac.Rerum.Nat.Univ.Comenia,Math.
     XXXII (1975), 87-90.

[19]  On  extensions  of  partial x-operators, Czech.Math.Journal
      26(101) (1976),477-505

[20]  On c-semigroups, Acta Arith. XXXI 1976, 274-257.

[21]  Non-possibility to  prove infinity  of regular  primes from
      some theorems, Journal für die r.u.ang.Math.291 (1977),162-181.

[22]  Eine  Bemerkung   zum  Kardinalprodukt,  Czech.Math.Journal
      27(102) (1977), 515-522.

[23]  (With J.Janák) On the integers xi for which x i/x 1...x i-  
       1.x i+1...x n+1 holds, Math.Slovaca 28 (1978), 305-310.

[24]  On  certain ideals of the  group ring Z[G], Arch.Math.(Brno)
      XV (1979),53-56.

[25]  Index of irregularity of a prime, Journal für die r.u.ang.Math.
      315 (1980), 92-106.

[26]  Another proof of Iwasawa's  class number formula, Acta Arith.XXXIX
      (1981), 1-6.

[27]  (With K.Selucký) The  irregular imaginary fields, Arch.Math.
      (Brno) XVII (1981), 95-112.

[28]  On  n-semigroups, Arch.Math. (Brno) XVII, (1981), 43-52.

[29]  A remark on  Mirimanoff polynomials, Commentarii Mathematici
      Universitatis Sancti (Tokyo) 31 (1982), 89-97.

[30]  Systems of equations depending on certain ideals, Arch.Math.
      (Brno) XXI (1985), 23-38.

[31]  (With P.Horák) A characterization of the second-order strong
      divisibility  sequences,  The   Fibonacci  Quarterly  23  (1985),

[32]  A note  on the   index of  irregularity, Journal  of Number
      Theory, 22 (1986), 125-128.

[33]  On the  Kummer's system  of congruences, Comment.Math.Univ.
      Sancti Pauli (Tokyo), 25 (1986), 137-163.

[34]  Linear transforms and convolution, Math.Slovaca 37 (1987),9-30.

[35]  Special ivariant  subspaces of  a vector  space over  Z/IZ,
      Archivum Mathematicum (Brno) 25 (1989), 35-46.

[36]  Linear transforms supporting circular convolution on residue
      class ring, Math.Slovaca 39 (1989), 377-390.

[37]  Some  consequeces  of  the  Kummer  system  of congruences,
      Comment. Math.Univ.Sancti Pauli (Tokyo), 39 (1990), 19-40.

[38]  Fermat's last theorem  and the Fermat quotients, Commenterii
      Math.Univ.Sancti Pauli (Tokyo), vol.41 (1992), 35-54.

[39]  Maximal reflectivity preserving subextensions, Acta Mathematica
      et Informatica Universitatis Ostraviensis, vol.19 (1993), 59-66.

[40]  Some bases of the Stickelberger ideal,  Math.Slovaca 43(1993),

[41]  Some algebraic aspects of the ring  transform, Scripta Fac.Sc.
      N.Univ.Brunensis, C.S.and Applied Math. 23(1993), 11-26.

[42]  The  orders solutions of  the Kummer system  of congruences,
      Transactions of the American Mathematical Society 343 (1994),

[43]  (With  Karl Dilcher) A new  criterion for the first  case of
      Fermat's  Last Theorem, Math.Comp.64 (1995), 363-392.

[44]  Agoh's  bases  of  the  Stickelberger  ideal,  Math.Slovaca
      44(1994), 663-670.

[45]  (With Takashi Agoh) Kummer type congruences and Stickelberger subideals,  
      Acta Arithmetica LXXXV.3 (1996), 235-250.

[46]  On a special ideal contained in the Stickelberger ideal, Journal of Number 
      Theory 58(1996), 173-195.

[47]  Inclusion among special Stickelberger subideals, Tatra Mountains, 
      Mathematical Publications, Number Theory 11(1997), 147-158.

[48]  (With Takashi Agoh, Karl Dilcher) Fermat Quotients for composite moduli, 
      Journal of Number Theory, 66(1997), 29-50.

[49]  Involutions for matrices and generalized inverses, Linear Algebra and Its  
      Applications, 271(1998), 283-308.

[50]  (With Takashi Agoh and Karl Dilcher) Wilson quotients for composite 
      moduli, math. Comp.,67(1998), 843-861.

[51]  Fermat and Wilson Quotiens for p-Adic Integers, Acta Mathematica et 
      Informatica Univrsitatis Ostraviensis 6(19980, 167-181.

[52]  (With Karl Dilcher and I. Sh. Slavutskij) Bernouli Numbers Bibliography   
      (1713-1990), Queen's University, Kingston, Ontario, 1991, 175 stran.

[53]  The Kummer Systems of Congruences and Index of Irregularity, Grazer Math. 
      Bericht 318 (1993), 169-172.

[54]  Pseudoinverzní matice a jejich použití, Folia Fac.Sc.Nat.Univ.Masarykianae 
      Brunensis Math.4(1994), 63-66.

[55]  Některé historické aspekty Fermatova problému, Pokroky mat.,fyz. a 
      astr.,39 (1994), 318-330.
[56]  The Stickelberger Ideal and the Demjanenko Matrix, Algebraic Cycles and 
      Related Topics, World Scientific, Singapore etc.,(1994), 69-76.

[57]  A Note on Diagonable Matrices, Environmental Statistics and Earth Science, 
      Masaryk University, Brno, Proceedings (1996), 147-148.

[58]  Application of Generalized Inverses in Linear Models, Folia Fac.Sc.Nat. 
      Univ.Masarykianae Brunensis, Math.5(1997),143-146.

[59]  Involutions of Matrices and Generalized Least Squares Solution, Folia 
      Fac.Sc.Nat.Univ.Masarykianae Brunensis, Math.5(1997), 147-151.

[60]  Generalized multivariate normal distribution, Foia Fac.Sc.Nat.Univ. 
      Masarykianae Brunensis, Math.7(1998), 141-147.